### Brief
Please say how many lines of the contents below hold the word "factors", as a bare number.
### Contents
┌──
Structure and simulated powder diffraction line list of PmPrAlPd (a structure optimized by DFT (PBE); Cu Ka).
Neutral-atom scattering factors, no anomalous dispersion.

Structure:
Cell lengths 4.3192, 4.4864, 10.7767 Å; angles 90.00, 90.00, 90.00 degrees
Space group Amm2 (No. 38)
Unique sites:
Pm 0.0000 0.0000 0.0000
Pr 0.5000 0.0000 0.7104
Al 0.0000 0.0000 0.2942
Pd 0.5000 0.0000 0.4313

Main lines, low angle first (10° ≤ 2θ ≤ 80°):
d = 3.370 Å, I = 24, hkl 1 0 2
d = 2.989 Å, I = 100, hkl 1 1 1
d = 2.804 Å, I = 43, hkl 0 1 3
d = 2.694 Å, I = 19, hkl 0 0 4
d = 2.352 Å, I = 36, hkl 1 1 3
d = 2.286 Å, I = 19, hkl 1 0 4
d = 2.243 Å, I = 23, hkl 0 2 0
d = 2.160 Å, I = 20, hkl 2 0 0
d = 1.711 Å, I = 20, hkl 2 1 3
d = 1.556 Å, I = 14, hkl 2 2 0

~~~~~

# 1
# Rb2BiBr6F
Theoretical X-ray diffraction stick pattern, copper Kα. Input: a structure optimized by DFT (GGA-PBE).
Neutral-atom scattering factors, no anomalous dispersion.

Structural model:
```
Rb2BiBr6F
1.0
-3.7980 3.7980 5.9428
3.7980 -3.7980 5.9428
3.7980 3.7980 -5.9428
Rb Bi Br F
2 1 6 1
direct
0.2500 0.7500 0.5000
0.7500 0.2500 0.5000
0.0000 0.0000 0.0000
0.2350 0.2350 0.0000
0.2550 0.2550 0.5100
0.2550 0.7450 0.0000
0.7450 0.2550 0.0000
0.7450 0.7450 0.4900
0.7650 0.7650 0.0000
0.5000 0.5000 0.0000
```

Most intense lines, 2θ from 10° to 80°, by intensity:
33.36 deg, rel. 100; 45.53 deg, rel. 81; 27.88 deg, rel. 78; 13.84 deg, rel. 72; 30.07 deg, rel. 65; 57.60 deg, rel. 40; 22.31 deg, rel. 39; 27.30 deg, rel. 37

---

# 2
# Rb2BiBrF6
Theoretical X-ray diffraction stick pattern, copper Kα. Input: a structure optimized by DFT (GGA-PBE).
Neutral-atom scattering factors, no anomalous dispersion.

Structural model:
```
Rb2BiBrF6
1.0
-3.4670 3.4670 5.0334
3.4670 -3.4670 5.0334
3.4670 3.4670 -5.0334
Rb Bi Br F
2 1 1 6
direct
0.2500 0.7500 0.5000
0.7500 0.2500 0.5000
0.0000 0.0000 0.0000
0.5000 0.5000 0.0000
0.2139 0.2139 0.0000
0.2194 0.2194 0.4388
0.2194 0.7806 0.0000
0.7806 0.2194 0.0000
0.7806 0.7806 0.5612
0.7861 0.7861 0.0000
```

Most intense lines, 2θ from 10° to 80°, by intensity:
25.36 deg, rel. 100; 25.70 deg, rel. 48; 45.10 deg, rel. 41; 15.52 deg, rel. 36; 36.66 deg, rel. 34; 52.08 deg, rel. 22; 44.48 deg, rel. 21; 35.68 deg, rel. 18

---

# 3
# NaGa2BiBr6
Theoretical X-ray diffraction stick pattern, copper Kα. Input: a structure optimized by DFT (GGA-PBE).
Neutral-atom scattering factors, no anomalous dispersion.

Structural model:
```
NaGa2BiBr6
1.0
7.3746 0.0000 0.0000
0.0000 8.1028 0.0000
-7.0751 0.0000 10.9581
Na Ga Bi Br
2 4 2 12
direct
0.0000 0.0000 0.0000
0.0000 0.5000 0.5000
0.2126 0.0759 0.7422
0.2126 0.4241 0.2422
0.7874 0.5759 0.7578
0.7874 0.9241 0.2578
0.5000 0.0000 0.5000
0.5000 0.5000 0.0000
0.1136 0.1769 0.4390
0.1136 0.3231 0.9390
0.2633 0.6920 0.4269
0.2633 0.8080 0.9269
0.4018 0.0544 0.2550
0.4018 0.4456 0.7550
0.5982 0.5544 0.2450
0.5982 0.9456 0.7450
0.7367 0.1920 0.0731
0.7367 0.3080 0.5731
0.8864 0.6769 0.0610
0.8864 0.8231 0.5610
```

Most intense lines, 2θ from 10° to 80°, by intensity:
27.58 deg, rel. 100; 13.59 deg, rel. 66; 26.28 deg, rel. 38; 41.38 deg, rel. 37; 29.76 deg, rel. 37; 42.21 deg, rel. 35; 49.05 deg, rel. 34; 32.85 deg, rel. 30

---

# 4
# BiHBr
Theoretical X-ray diffraction stick pattern, copper Kα. Input: a structure optimized by DFT (GGA-PBE).
Neutral-atom scattering factors, no anomalous dispersion.

Structural model:
```
BiHBr
1.0
4.4352 0.0000 0.0000
1.9511 5.3114 0.0000
0.5171 2.2609 7.3463
Bi H Br
2 2 2
direct
0.0468 0.3906 0.2100
0.9532 0.6094 0.7900
0.4832 0.2789 0.1711
0.5168 0.7211 0.8289
0.1886 0.8152 0.2758
0.8114 0.1848 0.7242
```

Most intense lines, 2θ from 10° to 80°, by intensity:
21.36 deg, rel. 100; 24.23 deg, rel. 98; 17.47 deg, rel. 48; 33.28 deg, rel. 47; 33.80 deg, rel. 47; 24.16 deg, rel. 46; 40.89 deg, rel. 33; 32.14 deg, rel. 32

---

# 5
# Bi2H2Br5
Theoretical X-ray diffraction stick pattern, copper Kα. Input: a structure optimized by DFT (GGA-PBE).
└──
### Outcome
5